Reading on a Budget

Since I’m not working right now, I have to reimagine my spending habits, especially when buying books. Hopefully, my situation will change soon, but I have to get a little creative for now. So, I asked myself how I’d satisfy my cravings for new books without going broke.

First, I must control the ways I hear about shiny new books. I’m a huge fan of book podcasts, and there are so many of them. Every time I listen to one, my TBR list grows exponentially. This doesn’t mean I rush out to my local indie and whip out my credit card immediately. However, the titles are on my radar, and it is tough to shut off the constant pinging to my amygdala—the part of the brain that generates desire.

So, I went through the book-themed podcasts I listen to on Spotify and unfollowed most of them. Not all of them. I kept the ones that not only have recommendations but also take deep dives into reading topics (like this one about budgeting). I’m staying away from the ones that were primarily lists of book recommendations and nothing else. This required me to make some tough choices. Against my better judgment, I will continue to follow Zibby Owens’ podcast, Moms Don’t Have Time to Read.” Her wonderful podcast includes author talks as well as quality book recs. She is a talented interviewer, and I am always in the mood for advice from seasoned writers.

Other bookish podcasts were easier to unfollow. One is hosted by two women in their 20s who talked too much about #adulting and their upcoming milestone birthdays of 25 and 30. 🙄 Oy! I hope this doesn’t sound like reverse ageism, but I couldn’t take their banter for one more minute. I have children their age, and I respect their opinions. However, as a 50+-year-old empty nester, I will also honor the stage of life I’m in, and book tastes evolve with age. And if these women have good recommendations, I’ll hear about the book from someone else. As the kids say, there is no FOMO here. (IYKYK)

Another way to curb my book spending habits is all about timing. Last year, I participated in No Book Buy July, which encouraged me to revisit the books I own or take advantage of my local library. I am confident that I saved around $350 by borrowing books instead of buying them. I had the pleasure of reading them without having to make room on my shelf. I also prioritize reading library books before others because I know people are waiting to read them when I’m done. The ones I own aren’t going anywhere, but library books have a deadline attached. If I don’t want to go back to the end of the line in the holding queue, I need to finish them.

The library also tells my amygdala to calm the f**k down. The shiny new book I heard about is probably at the library, and I’ll get to it when I get to it. There is no rush. We have plenty of other titles to keep us company—which brings me back to timing.

Instead of declaring book buy bans on myself, I want to pick months when I will buy books. I will choose these months based on special occasions. Whenever I plan to do an indie bookstore crawl, that will be a book-buying month. I’ll also give myself a grace period if I discover a new indie bookstore and want to support it within reason. It’s also my birthday next month, and I usually treat myself to a Boston Kreme donut and a trip to the bookstore.

Shit. I’m starting to see how this plan is already falling apart. Well, I tried. 😀

Data records, as found in the file =
'''
No. 1
NaZrCuSe3: relaxed, PBE.

Cell and atoms, written as CIF:
```
data_NaZrCuSe3
_chemical_formula_sum 'Na4 Zr4 Cu4 Se12'
_cell_length_a 13.7567
_cell_length_b 3.8610
_cell_length_c 10.3678
_cell_angle_alpha 90.00
_cell_angle_beta 90.00
_cell_angle_gamma 90.00
_symmetry_space_group_name_H-M 'P n m a'
_symmetry_Int_Tables_number 62
_symmetry_space_group_name_Hall '-P 2ac 2n'
loop_
_atom_site_label
_atom_site_type_symbol
_atom_site_fract_x
_atom_site_fract_y
_atom_site_fract_z
Na1 Na 0.2282 0.2500 0.0439
Zr1 Zr 0.0106 0.2500 0.3217
Cu1 Cu 0.0084 0.7500 0.0919
Se1 Se 0.1029 0.2500 0.5646
Se2 Se 0.1043 0.7500 0.8821
Se3 Se 0.1381 0.7500 0.2525
```


No. 2
# KGe2BO6 | the Materials Project database | PBE | relaxed
data_KGe2BO6
_chemical_formula_sum 'K4 Ge8 B4 O24'
_cell_length_a 4.8686
_cell_length_b 10.3398
_cell_length_c 10.8677
_cell_angle_alpha 90.00
_cell_angle_beta 90.00
_cell_angle_gamma 90.00
_symmetry_space_group_name_H-M 'P 21 21 21'
_symmetry_Int_Tables_number 19
_symmetry_space_group_name_Hall 'P 2ac 2ab'
loop_
_atom_site_label
_atom_site_type_symbol
_atom_site_fract_x
_atom_site_fract_y
_atom_site_fract_z
K1 K 0.1934 0.0306 0.3134
Ge1 Ge 0.2005 0.3848 0.4333
Ge2 Ge 0.2302 0.3017 0.9196
B1 B 0.1950 0.2343 0.6575
O1 O 0.0054 0.7922 0.1669
O2 O 0.0281 0.8187 0.4658
O3 O 0.0559 0.1232 0.5982
O4 O 0.0775 0.2492 0.7835
O5 O 0.0941 0.5492 0.4079
O6 O 0.1429 0.3590 0.5921
# magnetic moment: 0.00 μB per formula unit


No. 3
# Na6Zr3ZnSi2P4O24 | the Materials Project database | PBE | relaxed
data_Na6Zr3ZnSi2P4O24
_chemical_formula_sum 'Na18 Zr9 Zn3 Si6 P12 O72'
_cell_length_a 9.1523
_cell_length_b 9.1538
_cell_length_c 22.5983
_cell_angle_alpha 90.16
_cell_angle_beta 90.00
_cell_angle_gamma 119.85
_symmetry_space_group_name_H-M 'P 1'
_symmetry_Int_Tables_number 1
_symmetry_space_group_name_Hall 'P 1'
loop_
_atom_site_label
_atom_site_type_symbol
_atom_site_fract_x
_atom_site_fract_y
_atom_site_fract_z
Na1 Na 0.0000 0.0000 0.0000
Na2 Na 0.0014 0.2797 0.4152
Na3 Na 0.0124 0.6833 0.9131
Na4 Na 0.3094 0.9908 0.0901
Na5 Na 0.3188 0.6322 0.3364
Na6 Na 0.3212 0.2663 0.5810
Na7 Na 0.3238 0.6343 0.8385
Na8 Na 0.6218 0.9580 0.2601
Na9 Na 0.6437 0.3039 0.6690
Na10 Na 0.6466 0.3015 0.1709
Na11 Na 0.6597 0.9300 0.9161
Na12 Na 0.6638 0.6812 0.4120
Na13 Na 0.6756 0.6303 0.0915
Na14 Na 0.6817 0.0179 0.5801
Na15 Na 0.9261 0.6079 0.5860
Na16 Na 0.9783 0.3239 0.7617
Na17 Na 0.9802 0.6130 0.2527
Na18 Na 0.9971 0.9663 0.4929
Zr1 Zr 0.3070 0.6327 0.6951
Zr2 Zr 0.3080 0.6221 0.9875
Zr3 Zr 0.3077 0.6306 0.4861
Zr4 Zr 0.3130 0.6225 0.1911
Zr5 Zr 0.6358 0.2956 0.3230
Zr6 Zr 0.6389 0.3018 0.8179
Zr7 Zr 0.6503 0.2962 0.0270
Zr8 Zr 0.9766 0.9593 0.6572
Zr9 Zr 0.9776 0.9668 0.1539
Zn1 Zn 0.6496 0.2981 0.5193
Zn2 Zn 0.9824 0.9637 0.3506
Zn3 Zn 0.9914 0.9660 0.8513
Si1 Si 0.0126 0.3314 0.5896
Si2 Si 0.0177 0.6306 0.0910
Si3 Si 0.3103 0.3320 0.0883
Si4 Si 0.6049 0.9232 0.0899
Si5 Si 0.6825 0.6700 0.2607
Si6 Si 0.9772 0.6664 0.7608
P1 P 0.2688 0.2566 0.7562
'''

Okay, lightning round time. Here are a few more (realistic) ways I’ll curb my spending.

  • Consider my Kindle as a platform to read digital books, not download more books.
  • Borrow books from my friends! Lots of them are readers who have books I want to read.
  • Cancel my Audible account, which kills me, but I can always come back to it later. I have enough audiobooks to listen to, and I don’t need to add any more.
  • Treat myself to the books I’ve already purchased (see my pretty bookshelf photo above). Clearly, I was excited about them at one point. Time to remind myself why I bought them in the first place. I know I’ll uncover a lot of backlist gems there.
  • Order bookish gifts online and ship them to those I love. This is an idea from a few fellow bloggers, and it’s a good one. Why else do I have that Amazon Prime account?

In what ways do you curb your spending for something you love? It doesn’t have to be books. It can be anything—crafts, jigsaw puzzles, scented candles, trips to Sephora, etc. Let’s help each other out. Share your ideas in the comments.


18 comments on Reading on a Budget

  1. Glenda Cates
    January 21, 2024 at 1:02 pm (9 months ago)

    I love to read as well and in January I research the Authors I plan on purchasing books for and see which month new books will be out and if there near a Holiday I ask for them as a Gift. if not instead of having dinner our with my husband or a friend I use the money to purchase the book and make a nice dinner at home and invite them over which allows us to spend time together without taking up space in a restaurant. I need to find friends who read and share books with them.

  2. Vidya
    January 19, 2024 at 1:56 pm (9 months ago)

    I keep an eye out for book sales at local libraries and also buy in used bookstores. But books are hard to resist

  3. Josie
    January 18, 2024 at 10:57 am (9 months ago)

    I have tried to limit my book-buying to non-fiction books. I use the library for fiction books as so many “highly-recommended” fiction books are not as good as advertised. I also have a friend with whom I swap books several times a year; we donate them to our local library’s book sale after we have both read them. I am also trying to donate a book from my shelf for each one that I buy (that’s not working as well as I would like though!).

  4. Martha
    January 18, 2024 at 9:09 am (9 months ago)

    We have a few “little free libraries” in different areas around our town. Most are small, the size of a bookcase with a door and people take a book to read, bring it back and usually add a few more to the library. Just before Christmas I went through Lia’s book stash and for a 5 year old, she has a ton of books! I sorted out the books that she had already over-read and now are too young for her and donated them. I don’t read that more anymore but I do like an ebook now and then.

    • Elisa
      January 18, 2024 at 9:55 am (9 months ago)

      I love that you donate books and add to those little free libraries. It’s such a great thing to do, and it helps the community.

  5. Carol Newman
    January 17, 2024 at 9:03 pm (9 months ago)

    When we downsized 6 years ago I got rid of lots of cookbooks. I am part of a Facebook group We Love Jewish Food. People have posted recipes from books that I no longer have. I just purchased The Kosher Trilogy. It has The Kosher Chinese, French, and Italian Cookbooks all in one volume. Have I made anything? I have not. Am I happy to see it again? Yes, I am. If I get a new kitchen toy, I buy books to use with it. The books are on the bulging shelf and my CopyMeThat app is filled with downloaded recipes. I love a good cookbook!

    • Elisa
      January 18, 2024 at 9:57 am (9 months ago)

      Love it, Carol! I am not a big cook, but I do like reading cookbooks and experimenting with the recipes. People are writing stories with the recipes lately which I love. Also, it sounds like you need a bookcase in your kitchen to hold them all. 🙂

  6. Jeanine Byers
    January 17, 2024 at 7:47 pm (9 months ago)

    Your struggle really resonates with me! One thing that has helped me is my Kindle Unlimited membership, because I can read a lot of books for free.

    • Elisa
      January 17, 2024 at 8:28 pm (9 months ago)

      I have that too, and I keep forgetting about it. Thanks for reminding me!

  7. Andrea P.
    January 17, 2024 at 7:31 pm (9 months ago)

    I buy used books through Better World Books – don’t spend as much, but my bookshelves are overflowing.

    The library has become my new friend. But often times, I can’t find the book I’m looking for there.

(Someone pasted calculated crystals at this point)
-- begin --
Entry from the Materials Project database: an optimized crystal structure of LaIn4Ni (GGA-PBE).

Values from the calculation:
* theoretical density: 7.68 g cm⁻³
* energy of formation from the pure elements: -0.392 eV/atom
* raw total energy: -4.0126 eV/atom

a b c (Å): 8.8511 8.8511 7.2782
angles (deg): 90.00 90.00 150.12
With the nearest neighbours (Å) after each atom.
Sites, in units of the cell vectors:
1 La 0.1177 0.8823 0.7500  13 In 3.32-3.71, 2 Ni 3.53
2 La 0.8823 0.1177 0.2500  13 In 3.32-3.71, 2 Ni 3.53
3 In 0.0763 0.9237 0.2500  1 Ni 2.55
4 In 0.3113 0.6887 0.5465  3 Ni 2.61-2.79
5 In 0.3113 0.6887 0.9535  3 Ni 2.61-2.79
6 In 0.5000 0.5000 0.0000  6 In 3.20-3.24, 4 La 3.55
7 In 0.5000 0.5000 0.5000  6 In 3.20-3.24, 4 La 3.55
8 In 0.6887 0.3113 0.0465  3 Ni 2.61-2.79
9 In 0.6887 0.3113 0.4535  3 Ni 2.61-2.79
10 In 0.9237 0.0763 0.7500  1 Ni 2.55
11 Ni 0.2252 0.7748 0.2500  7 In 2.55-2.79
12 Ni 0.7748 0.2252 0.7500  7 In 2.55-2.79

=====

Record 1
Below is Na6La2Y2Si3S3O24 after structural relaxation, with properties calculated at the PBE level.

Calculated values
Energy of formation in eV per formula unit: -113.1
Raw total energy in eV per atom: -6.869
SG: No. 1

Structure (POSCAR):
```
Na6La2Y2Si3S3O24
1.0
-1.9815 6.7263 -6.4981
2.5938 -8.7127 -2.8401
-22.7853 -6.7652 -0.0084
Na La Y Si S O
18 6 6 9 9 72
direct
0.6368 0.0182 0.2649
0.3389 0.3402 0.2577
0.6596 0.6597 0.7291
0.9734 0.3591 0.7383
0.0083 0.6732 0.5962
0.6851 0.9745 0.5836
0.3223 0.9731 0.1034
0.0158 0.3161 0.0854
0.9696 0.6423 0.8934
0.7152 0.0488 0.9050
0.9483 0.2878 0.4254
0.3547 0.0298 0.4093
0.9573 0.9910 0.5079
0.9799 0.0215 0.9977
0.6730 0.3226 0.8178
0.6766 0.3231 0.3334
0.3199 0.6770 0.1781
0.3335 0.6641 0.6641
0.0039 0.0110 0.8403
0.9920 0.9990 0.1593
0.6745 0.3304 0.9854
0.3396 0.6577 0.0169
0.3544 0.6590 0.5188
0.3217 0.6706 0.8103
0.9891 0.9956 0.3468
0.9969 0.9983 0.6492
0.6722 0.3376 0.6800
0.6724 0.3247 0.1881
0.6712 0.3393 0.4878
0.3289 0.6805 0.3171
0.3073 0.0032 0.2494
0.0071 0.3103 0.2485
0.9907 0.6890 0.7495
0.6951 0.0022 0.7496
0.9686 0.3335 0.5817
0.6752 0.6397 0.5872
0.6646 0.0262 0.0837
0.0280 0.3580 0.9206
0.6413 0.9806 0.4161
0.6848 0.6878 0.2528
0.3105 0.3040 0.7464
0.3664 0.0386 0.5806
0.9713 0.6378 0.0847
0.3641 0.3303 0.0883
0.6469 0.6724 0.9137
0.3265 0.9679 0.9216
0.3313 0.3546 0.4100
0.0320 0.6672 0.4178
0.2015 0.0131 0.3020
0.7915 0.7724 0.3009
0.9759 0.1740 0.2971
0.2438 0.2258 0.8012
0.9946 0.7750 0.8107
0.7874 0.0233 0.8112
0.8100 0.9943 0.6998
0.2038 0.2081 0.7000
0.0055 0.8071 0.6976
0.7515 0.7822 0.2006
0.0332 0.2412 0.1879
0.2146 0.9848 0.1893
0.8744 0.3516 0.6367
0.4706 0.1294 0.6285
0.6599 0.5421 0.6449
0.8674 0.5389 0.1316
0.6531 0.1354 0.1356
0.4582 0.3390 0.1390
0.4543 0.3393 0.0366
0.8920 0.5689 0.0302
0.6777 0.1226 0.0243
0.4406 0.1250 0.5269
0.6720 0.5310 0.5331
0.8611 0.3141 0.5240
0.5597 0.6793 0.9646
0.1148 0.4425 0.9815
0.3218 0.8822 0.9748
0.5525 0.8822 0.4736
0.3029 0.4311 0.4593
0.1242 0.6895 0.4701
-- stop --
(Back to the entry)

    • Elisa
      January 17, 2024 at 8:29 pm (9 months ago)

      I never heard of them before. Is that a store or online? Thanks for the tip!

  8. Lily Leung
    January 17, 2024 at 6:14 pm (9 months ago)

    I used to buy as many books as groceries. No more as I have full book shelves in the basement. I use the library. I do buy books that I want to keep,

  9. Roy A Ackerman PhD EA
    January 17, 2024 at 5:31 pm (9 months ago)

    My Achilles heeĺ are the NY Times Book Review, the Post Book section, and the Jewish Book Review. I don’t do podcast.

    • Elisa
      January 17, 2024 at 8:30 pm (9 months ago)

      The NYT Book Review is also a favorite of mine.

  10. Phil Kauffman
    January 17, 2024 at 5:13 pm (9 months ago)

    My library has most new releases both in print and electronic.
    So, the Kindle is now just a platform to receive these resources from the library!

    • Elisa
      January 17, 2024 at 8:30 pm (9 months ago)


  11. Tamara
    January 17, 2024 at 2:57 pm (9 months ago)

    See, this is one problem I don’t have 😉

• Data records, kept here for reference:
........
SrCaSn after structural relaxation, computed with r2SCAN.

a b c (Å): 8.469 5.171 9.627
angles (deg): 90.00 90.00 90.00
Element x y z (fractional)
Sr 0.022 0.250 0.182
Sr 0.478 0.750 0.682
Sr 0.522 0.250 0.318
Sr 0.978 0.750 0.818
Ca 0.149 0.250 0.570
Ca 0.351 0.750 0.070
Ca 0.649 0.250 0.930
Ca 0.851 0.750 0.430
Sn 0.235 0.750 0.391
Sn 0.265 0.250 0.891
Sn 0.735 0.750 0.109
Sn 0.765 0.250 0.609

ΔE_f, eV/atom: -0.792
Symmetry: Pnma, No. 62
DFT total energy, eV/cell: -197.220


[1]
This record from the Materials Project database describes crystalline Li4Ni2OF7 at its relaxed geometry. The functional is PBE+U.

a b c (Å): 5.9627 5.9627 10.2683
angles (deg): 91.31 105.66 119.71
Positions (direct):
Li 0.4810 0.7548 0.2360
Li 0.8889 0.6849 0.5740
Li 0.4811 0.2548 0.7360
Li 0.1136 0.3199 0.4334
Li 0.5017 0.9968 0.4986
Li 0.8889 0.1851 0.0740
Li 0.5017 0.4968 0.9986
Li 0.1136 0.8198 0.9334
Ni 0.5048 0.2606 0.2540
Ni 0.9934 0.2491 0.7539
Ni 0.5048 0.7606 0.7539
Ni 0.9933 0.7494 0.2539
O 0.7694 0.1009 0.8704
O 0.7694 0.6011 0.3703
F 0.2810 0.8861 0.6328
F 0.2537 0.6177 0.8715
F 0.2547 0.6460 0.3647
F 0.7441 0.3833 0.1272
F 0.7466 0.3517 0.6328
F 0.2549 0.1458 0.8648
F 0.2482 0.3877 0.6359
F 0.7464 0.8519 0.1327
F 0.2809 0.3862 0.1328
F 0.7189 0.6099 0.8648
F 0.7441 0.8831 0.6272
F 0.2482 0.8878 0.1358
F 0.7189 0.1099 0.3648
F 0.2537 0.1180 0.3715

## Properties
E (eV/atom): -4.615
Total magnetization (μB per formula unit): 0.000

[2]
This record from the Materials Project database describes crystalline KCaYWO6 at its relaxed geometry. The functional is PBE+U.

a b c (Å): 5.9042 5.9042 5.9042
angles (deg): 60.00 60.00 60.00
Positions (direct):
O 0.7667 0.2333 0.2333
O 0.7667 0.7667 0.2333
O 0.2333 0.7667 0.2333
O 0.2333 0.7667 0.7667
O 0.2333 0.2333 0.7667
O 0.7667 0.2333 0.7667
Ca 0.2500 0.2500 0.2500
W 0.0000 0.0000 0.0000
K 0.7500 0.7500 0.7500
Y 0.5000 0.5000 0.5000

## Properties
SG: F-43m
E (eV/atom): -7.237
Total magnetization (μB per formula unit): 0.000

[3]
This record from the Materials Project database describes crystalline Ba2HoCoCu2O7 at its relaxed geometry. The functional is PBE+U.

a b c (Å): 3.8493 3.9132 11.8216
angles (deg): 90.00 90.00 90.00
Positions (direct):
Ba 0.5000 0.5000 0.8156
Ba 0.5000 0.5000 0.1844
O 0.5000 0.0000 0.3793
O 0.5000 0.0000 0.6207
O 0.0000 0.5000 0.3792
O 0.0000 0.5000 0.6208
O 0.0000 0.0000 0.1531
O 0.0000 0.0000 0.8469
O 0.0000 0.5000 0.0000
Ho 0.5000 0.5000 0.5000
Cu 0.0000 0.0000 0.6405
Cu 0.0000 0.0000 0.3595
Co 0.0000 0.0000 0.0000

## Properties
SG: Pmmm
E (eV/atom): -6.224
Total magnetization (μB per formula unit): 2.237

[4]
This record from the Materials Project database describes crystalline Li3MnPCO7 at its relaxed geometry. The functional is PBE+U.

a b c (Å): 6.5742 8.5793 9.9893
angles (deg): 94.61 90.26 90.50
Positions (direct):
O 0.2506 0.4199 0.7953
O 0.4340 0.3107 0.5827
O 0.9371 0.6893 0.4121
O 0.7503 0.1439 0.7457
O 0.7504 0.0672 0.0248
O 0.2435 0.9302 0.9762
O 0.2499 0.1105 0.8224
........

    I applaud you for making such great efforts!

    PS: In the time you WRITE YOUR OWN BOOK, you don’t have to worry about other people’s books…

    • Elisa
      January 17, 2024 at 8:30 pm (9 months ago)

      Very true!